Just you saying so, don't make it so.
double-blind study - an experimental procedure in which neither the subjects of the experiment nor the persons administering the experiment know the critical aspects of the experiment; "a double-blind procedure is used to guard against both experimenter bias and placebo effects"
Show me where in this statement it says anything about determining a physical explanation.
Show me in this definition either.
The whole purpose of metaphysics is to deal with this question. You just assume you know, and are done with it. That's the definition of an unreflective, un-curious person; the opposite of a Socratic attitude. Reality is whatever works for your purposes, or whatever is fed to you, and that's it.
I don't need to. A double blind study is one of many techniques of applying the scientific method. Which of course would start with a hypothesis based on observation of various phenomena and would constitute a physical explanation in the case of medicine.
Considering that medicine concerns itself with humans as physical biological beings. And all that jazz.
I stand by my statement you have no idea how a double blind study works.
ETA: I'm still waiting for that double blind study on healing chakra energies btw.
You mean like cooking (processing)? Here's a little bit of trivia for you Eric. Cooking, or more precisely the harnessing of fire which led to cooking, is one of the major reasons you have a big brain (filled with nonsense though it is). Cooking begins to break down cellular walls in plant and animal material which assists us greatly in digestion and absorption. Most animal bodies need to devote more resources than we do to the digestive tract to maximize nutrition gained from food. Our early ancestors were no different however once they were able to control fire, they began to cook food (which tasted better and made them healthier). Later generations began to evolve with weaker and weaker digestive systems but bigger and bigger brains (cooking became a tool that replaced digestion). Their bodies now had more resources to devote to brain development.
In other words without "processing the life out of it" (which is a meaningless phrase), you wouldn't be producing hippy fairs and posting drek online.
If you say so Sunflower...if you say so.
That said no I don't think I have lost this argument. Not by a long shot. See I am not trying to change your mind. I come at this debate to point out all the flaws in your arguments...which quite honestly is almost too easy. And to prevent other people from taking up your extremely flawed positions.
The killing part is irrelevant. Plants and animals gain the mineral and chemical compounds they need to survive from their surroundings. Eating is only one particular part of this. Breathing and solar absorption also provide important compounds. "Life" is simply a continuing chemical reaction that is not self-sustaining. Injecting human subjectivity into the definition is not necessary. That doesn't stop people like Eric from doing it of course.
I was going to attempt to convey my observations via a short-story narrative from the POV of a cat!, but for the sake of efficiency and my own laziness, I have decided to state my opinions in a more straight-forward manner.
[Note: Although I am able, I'm not as inclined as some to cut-up every single concept into the smallest definable particular. I'm also not inclined towards an in-efficient back-and-forth of opinions concerning such matters]
So, if I had to break things down into a simple form, I believe I would say that, although I fully understand the reasoning and possible desires to recognize one's "Physical Reality" as "Reality", I would say that my "Reality" is not one that is primarily concerned with what something "is". Instead, I'm more concerned with what something "means"(to me, or someone else). "Meaning".
This is quite a different "Reality" than one that is comprised of and defined primarily by things. Instead, it is a "Reality" that is comprised of "relationships"(ie: associations). IOW, in what manner do I believe I am related to all of these other things? What do these relationships mean to me?
In a nut-shell, that is my "Reality".
PS: Hope that helps!![]()
I Am A Child of God/Nature/The Universe
These records of crystals were left in the piece by mistake =
'''
First-principles (PBE) data for an optimized crystal structure of Be2AlAg, as listed in Alexandria via LeMat-Bulk.

Geometry as CIF:
```
data_Be2AlAg
_space_group_name_H-M_alt 'P 1'
_space_group_IT_number 1
_cell_length_a 2.8767
_cell_length_b 2.8767
_cell_length_c 6.0502
_cell_angle_alpha 90.00
_cell_angle_beta 90.00
_cell_angle_gamma 90.00
loop_
_space_group_symop_operation_xyz
'x,y,z'
loop_
_atom_site_label
_atom_site_type_symbol
_atom_site_fract_x
_atom_site_fract_y
_atom_site_fract_z
Be1 Be 0.0000 0.0000 0.0000
Be2 Be 0.5000 0.5000 0.1730
Al1 Al 0.5000 0.5000 0.7540
Ag1 Ag 0.0000 0.0000 0.4272
```

## Properties
* crystal system: tetragonal
* formation energy: 0.1796 eV/atom
* energy: -3.3320 eV/atom

---

First-principles (PBE) data for an optimized crystal structure of Co2PRuPb, as listed in Alexandria via LeMat-Bulk.

Geometry as CIF:
```
data_Co2PRuPb
_space_group_name_H-M_alt 'P 1'
_space_group_IT_number 1
_cell_length_a 4.2237
_cell_length_b 4.2237
_cell_length_c 4.4904
_cell_angle_alpha 90.00
_cell_angle_beta 90.00
_cell_angle_gamma 90.00
loop_
_space_group_symop_operation_xyz
'x,y,z'
loop_
_atom_site_label
_atom_site_type_symbol
_atom_site_fract_x
_atom_site_fract_y
_atom_site_fract_z
Co1 Co 0.0000 0.5000 0.0000
Co2 Co 0.5000 0.0000 0.0000
P1 P 0.0000 0.0000 0.0000
Ru1 Ru 0.0000 0.0000 0.5000
Pb1 Pb 0.5000 0.5000 0.5000
```

## Properties
* crystal system: tetragonal
* formation energy: 0.2517 eV/atom
* energy: -6.2695 eV/atom

---

First-principles (PBE) data for an optimized crystal structure of Pa6GaSb, as listed in Alexandria via LeMat-Bulk.

Geometry as CIF:
```
data_Pa6GaSb
_space_group_name_H-M_alt 'P 1'
_space_group_IT_number 1
_cell_length_a 6.4545
_cell_length_b 6.4545
_cell_length_c 4.5484
_cell_angle_alpha 90.00
_cell_angle_beta 90.00
_cell_angle_gamma 90.00
loop_
_space_group_symop_operation_xyz
'x,y,z'
loop_
_atom_site_label
_atom_site_type_symbol
_atom_site_fract_x
_atom_site_fract_y
_atom_site_fract_z
Pa1 Pa 0.0000 0.5000 0.0000
Pa2 Pa 0.2446 0.2446 0.5000
Pa3 Pa 0.2446 0.7554 0.5000
Pa4 Pa 0.5000 0.0000 0.0000
Pa5 Pa 0.7554 0.2446 0.5000
Pa6 Pa 0.7554 0.7554 0.5000
Ga1 Ga 0.0000 0.0000 0.0000
Sb1 Sb 0.5000 0.5000 0.0000
```

## Properties
* crystal system: tetragonal
* formation energy (no corrections): -1.9 eV/f.u.
* energy: -8.2561 eV/atom

---

First-principles (PBE) data for an optimized crystal structure of BaNaW2, as listed in Alexandria via LeMat-Bulk.

Geometry as CIF:
```
data_BaNaW2
_space_group_name_H-M_alt 'P 1'
_space_group_IT_number 1
_cell_length_a 7.0572
_cell_length_b 7.0572
_cell_length_c 7.0572
_cell_angle_alpha 90.00
_cell_angle_beta 90.00
_cell_angle_gamma 90.00
loop_
_space_group_symop_operation_xyz
'x,y,z'
loop_
_atom_site_label
_atom_site_type_symbol
_atom_site_fract_x
_atom_site_fract_y
_atom_site_fract_z
Ba1 Ba 0.0000 0.0000 0.0000
Ba2 Ba 0.0000 0.5000 0.5000
Ba3 Ba 0.5000 0.0000 0.5000
Ba4 Ba 0.5000 0.5000 0.0000
Na1 Na 0.0000 0.0000 0.5000
Na2 Na 0.0000 0.5000 0.0000
'''
I Think Globally and Act Individually(and possibly, voluntarily join-together with Others)
I Pray for World Peace & I Choose Less-Just Say: "NO!, Thank You."
A CNN guest bit... My Take: 'I'm spiritual but not religious' is a cop-out
This feels like an official church's response to an awakening. After a time of song and emotion, where you get salvation under a tent when the wandering preacher brings his show through, official, boring, staid, salvation through ritual and responsible behavior preachers try to restore their position of authority.
I started reading the above article as the title reminded me a bit of someone, but it left me with a bit of a bad aftertaste. There is more than one basic approach to religion. After reading this through, I find myself in sympathy with those who are searching without kowtowing to doctrines. I'm one of those who has tasted many traditions, who has found some wisdom in many of them, but is unable to immerse myself in any of the prepackaged theologies.
As a devout agnostic, I'm not in a good place to lecture to believers, but I don't know that I'd recommend this guy, either.
Cooking is a fine art. Some believe with Alan Watts that "a fish who has died for you, and is not well cooked, has died in vain." Cooking poorly and overcooking indeed takes the life out of food, but good cooking does help digestion. Part of good cooking is putting your OWN life into the food, by paying attention and loving it. So cooking, is actually hippy woo-woo. But some others feel that not cooking makes food more powerful. There are whole organizations dedicated to that. Personally, I'm not too well inclined to either course, but I respect those who are. Brain development is a good thing, but brains are only the external expressions of the inner intelligence of life or soul, as we call it. In any case, I am grateful to be producing hippy fairs (what could be a greater thing than something hippy, except that some Gen Xers feel compelled for poor reasons to react against it; too bad), and to be posting truth online.
Last edited by Eric the Green; 09-30-2012 at 12:16 PM.
That's a good point. The initial metaphysical question may be "what is reality," but we often discover that what "is" can't be pinned down; that it is fluid in some manner, and also that what it is, depends on we who are asking the question; or as you say, it's relationship to me as the one asking. And what is meaningful, is something that "matters" to me, which is why I am focusing on it or paying attention to it. We learn and remember things more easily that are important to us, for example. Reality is also that which we notice. Maybe that's the definition of "matter," what matters to us.
Or as Bill Clinton said, it depends on what the definition of is, is.
Okay functioning mind. Explain the Hexaflexagon using silly new-age logic.![]()